
Terms for subject Technology containing atmosphere | all forms | exact matches only
acoustic sounding of atmosphere声波大气探测
acoustical sounding of atmosphere声波大气探测
aerobic atmosphere好气环境
aerobic atmosphere需氧气氛
aerobic atmosphere好氧环境
aerobic atmosphere需氧环境
alternating damp heat atmosphere交变湿热
alternating humidity atmosphere交变湿度环境
ambient atmosphere周围大气
arc atmosphere电弧炉内气氛
arc atmosphere电弧气氛
artificial atmosphere人工空气
artificial atmosphere空气调节
artificial atmosphere调节空气
artificial atmosphere人工气候
asymmetric ionic atmosphere不对称离子氛
asymmetrical ionic atmosphere不对称离子氛
atmosphere air大气
atmosphere composition大气成分
atmosphere controller气氛控制器
atmosphere dispersion model大气弥散模型
atmosphere drag大气阻力
atmosphere equipment保护气氛供应设备
atmosphere gage气压计
atmosphere gas保护气体
atmosphere gas气圈气
atmosphere gas generating plant常压煤气发生设备
atmosphere gas generator常压气体发生器
atmosphere humidity condensate大气水汽凝结物
atmosphere influence气压影响
atmosphere laser大气压激光器
atmosphere monitoring satellite大气监测卫星
atmosphere-ocean dynamics大气海洋动力学
atmosphere-ocean-land-ice system大气一海洋—陆地一冰雪体系
atmosphere pressure大气压 (力)
atmosphere pressure affected coefficient of groundwater地下水的气压影响系数
atmosphere resistance of malthoid油毡大气稳定性
atmosphere revitalization section大气活化区域
atmosphere sampler气体采样器
atmosphere science大气科学
atmosphere sensing and maintenance system大气传感与维护系统
atmosphere sintering气氛烧结
atmosphere suit常压潜水服
atmosphere temperature transducer大气温度传感器
atmosphere transfer temperature气氛转变温度
atmosphere transparency大气透明度
atmosphere turbidity大气浑浊度
atmosphere venting大气压力孔
atmosphere venting静压孔
biologic pollution of atmosphere大气生物污染
biological pollution of atmosphere大气生物污染
brazing in controlled atmosphere保护气氛钎焊
changing atmosphere大气变化
changing composition of the atmosphere大气成分的变化
chemical atmosphere化学大气
chemically oxidizing atmosphere化性大气
chemistry and composition of atmosphere大气化学及其组成
chemistry of atmosphere大气化学
circulation of atmosphere大气环境
circulation of atmosphere大气环流
circulation pattern of the atmosphere大气环流模式
column of atmosphere大气气柱
condition of atmosphere大气状态
continuous atmosphere monitoring program连续大气监测划
continuous atmosphere monitoring programme连续大气监测划
controlled atmosphere受控炉气
controlled atmosphere受控气氛
controlled atmosphere受控制的空气
controlled atmosphere制造粒金刚石钻头时马弗炉中的惰性气体
controlled atmosphere arc welding充气室电弧焊
controlled atmosphere furnace保护气体炉
controlled atmosphere furnace可控气氛炉
controlled atmosphere kiln气氛窑
controlled atmosphere spectrochemical analysis控制气氛光谱分析
controlled atmosphere gas storage气调储[贮]藏
controlled atmosphere storage控气冷藏 (法)
correction value of atmosphere大气修正值
corrosive atmosphere tester腐蚀大气测试器
damp atmosphere湿大气
damp atmosphere高湿度空气
Declaration on the Protection of the Atmosphere保护大气宣言
differential transparency of atmosphere不同层次的大气透明度
dispersion of atmosphere大气色散
disturbed-upper atmosphere扰动高层大气
dry adiabatic atmosphere干绝热大气
dust atmosphere粉尘环境
dust-free atmosphere无尘空气
effective atmosphere光学有效大气
effective atmosphere有效气压
electric apparatus for explosive atmosphere防爆电气设备
electrical apparatus for explosive atmosphere防爆电气设备
emitting atmosphere发光大气
engineering atmosphere工程大气压
environmental capacity of urban atmosphere城市大气环境容量
exotic atmosphere异国情调
explosive atmosphere爆燃性空气
[Data records, kept here for reference]
........
1.
DFT (PBE) results for a geometry-optimized HfZn2Ag structure.

Lattice parameters (Å, degrees): 7.273 7.273 5.703 90.00 90.00 90.00
Atoms (fractional coordinates):
Hf 0.000 0.000 0.000
Hf 0.000 0.500 0.250
Hf 0.500 0.000 0.750
Hf 0.500 0.500 0.500
Zn 0.231 0.250 0.625
Zn 0.250 0.731 0.875
Zn 0.250 0.769 0.375
Zn 0.269 0.250 0.125
Zn 0.731 0.750 0.125
Zn 0.750 0.231 0.375
Zn 0.750 0.269 0.875
Zn 0.769 0.750 0.625
Ag 0.000 0.000 0.500
Ag 0.000 0.500 0.750
Ag 0.500 0.000 0.250
Ag 0.500 0.500 0.000

energy of formation	227	meV per atom
symmetry	I-42d (122)
total DFT energy (no corrections)	-3.61	eV/atom

---

2.
DFT (PBE) results for a geometry-optimized Hf3ZnAg structure.

Lattice parameters (Å, degrees): 4.902 4.902 4.902 90.00 90.00 90.00
Atoms (fractional coordinates):
Hf 0.000 0.000 0.500
Hf 0.000 0.500 0.000
Hf 0.500 0.000 0.000
Zn 0.000 0.000 0.000
Ag 0.500 0.500 0.500

offset from the most stable computed form	0.000	eV/atom
energy of formation	784	meV per atom
symmetry	Pm-3m (221)
total DFT energy (no corrections)	-6.01	eV/atom

---

> The lowest energy of formation belongs to which entry?

HfZn2Ag

---

> Which of these has the lowest total DFT energy (no corrections)?

Hf3ZnAg


Here is Er4CS2Cl after structural relaxation from Alexandria via LeMat-Bulk. Energies are from PBE.

Geometry as POSCAR:
```
Er4CS2Cl
1.0
6.529 0.000 0.000
0.000 3.746 0.000
-2.146 0.000 6.416
Er C S Cl
4 1 2 1
Direct
0.219 0.000 0.209
0.242 0.500 0.787
0.758 0.500 0.213
0.781 0.000 0.791
0.000 0.500 0.000
0.500 0.000 0.000
0.500 0.500 0.500
0.000 0.000 0.500
```

Output
space group	P2/m (10)
ρ	8.26	g/cm³
formation energy from raw total energies	-1.465	eV/atom



Here is Er3CSeCl after structural relaxation from Alexandria via LeMat-Bulk. Energies are from PBE.

Geometry as POSCAR:
```
Er3CSeCl
1.0
7.775 0.000 0.000
0.000 3.731 0.000
-0.478 0.000 9.944
Er C Se Cl
6 2 2 2
Direct
0.094 0.250 0.382
0.124 0.250 0.869
0.345 0.750 0.627
0.655 0.250 0.373
0.876 0.750 0.131
0.906 0.750 0.618
0.129 0.250 0.633
0.871 0.750 0.367
0.369 0.750 0.342
0.631 0.250 0.658
0.369 0.750 0.903
0.631 0.250 0.097
```

Output
space group	P2_1/m (11)
ρ	7.23	g/cm³
formation energy from raw total energies	-1.190	eV/atom



Here is Er4CSe2Cl after structural relaxation from Alexandria via LeMat-Bulk. Energies are from PBE.

Geometry as POSCAR:
```
Er4CSe2Cl
1.0
6.797 0.000 0.000
0.000 3.807 0.000
-2.138 0.000 6.494
Er C Se Cl
4 1 2 1
Direct
0.206 0.000 0.204
0.223 0.500 0.781
0.777 0.500 0.219
0.794 0.000 0.796
0.000 0.500 0.000
0.500 0.000 0.000
0.500 0.500 0.500
0.000 0.000 0.500
```

Output
space group	P2/m (10)
ρ	8.64	g/cm³
formation energy from raw total energies	-1.337	eV/atom



Here is TbErCCl after structural relaxation from Alexandria via LeMat-Bulk. Energies are from PBE.

Geometry as POSCAR:
```
TbErCCl
1.0
1.810 1.045 6.861
-1.810 1.045 6.861
0.000 -2.090 6.861
Tb Er C Cl
1 1 1 1
Direct
0.000 0.000 0.000
0.792 0.792 0.792
0.399 0.399 0.399
0.227 0.227 0.227
```

Output
........
explosive atmosphere有爆炸危险的环境
explosive atmosphere有爆炸危险的空气
explosive dust atmosphere爆炸性粉尘大气
exposure to atmosphere大气暴露
extended atmosphere延伸大气
extinctive atmosphere灭火气氛
factory atmosphere厂区气氛
flashing to atmosphere闪蒸至常压
free atmosphere自由大气 (层)
free atmosphere大气
free atmosphere自由空气
furnace atmosphere炉膛内空气状态
furnace atmosphere炉气
furnace atmosphere窑炉气氛
furnace inside atmosphere炉内气氛
general circulation model of atmosphere大气环流模式
general circulation of atmosphere大气循环
geochemistry of atmosphere大气圈地球化学
gray atmosphere灰大气
grey atmosphere灰色大气
group atmosphere团体气氛
helium-atmosphere box充氦盒
heterogeneous atmosphere reaction异质大气反应
higher layers of the atmosphere比平流层更高的大气层
high-temperature synthesis under atmosphere常压高温合成法
homogeneous atmosphere均匀大气 (层)
homogeneous atmosphere均质大气 (层)
ice nuclei in atmosphere大气冰核
industrial atmosphere工业区环境
industrial atmosphere工业区空气
industrial atmosphere工业气氛
inert atmosphere惰性大气层
inert atmosphere processing cell惰性气氛处理热室
infrared remote sensing of atmosphere红外线大气遥感
in-plant atmosphere厂内空气
interference atmosphere干扰大气层
internal atmosphere室内气氛
International Programs in Atmosphere国际大气科学和水文计划
international reference atmosphere国际参考大气
International Standard Atmosphere国际标准大气 (压)
international standard atmosphere国际标准大气压
isothermal atmosphere等温大气层
kiln atmosphere窑内气氛
limit of the atmosphere大气极限
low atmosphere低层大气
low atmosphere layer低层天气
low atmosphere ozone低层大气臭氧
low atmosphere ozone pollution低层大气臭氧污染
lower atmosphere layer低层大气层
lunar atmosphere月球大气
marine atmosphere海洋大气层
marine atmosphere海上大气
maximum permissible atmosphere concentration最大容许大气浓度
metrical atmosphere公制大气压
microbiologic pollution of atmosphere大气微生物污染
microwave remote sensing of atmosphere微波大气遥感
mid latitude atmosphere中纬度大气
mill atmosphere磨机气流
mine atmosphere矿坑大气
model atmosphere大气模型
model of atmosphere大气模式
model solar atmosphere太阳大气模型
moisture content of the atmosphere大气中的水汽含量
moment of inertia of atmosphere大气转动惯量
neutral atmosphere density中性大气密度
neutral atmosphere model中性大气模式
neutral atmosphere temperature中性大气温度
nitrogen concentration in atmosphere大气中氮的浓度
noise propagation in atmosphere大气中的噪声传播
non-contaminated atmosphere未污染的大气
normal atmosphere正常大气压
ocean-atmosphere corrosion海洋大气腐蚀
ocean-atmosphere exchange海洋大气间的物质能量交换
ocean-atmosphere heat exchange海洋大交换
ocean-atmosphere interaction海洋大气相互影响
ocean-atmosphere interface海洋大气界面
ocean-atmosphere relation海洋大气关系
one-atmosphere diving system常压潜水系统
one-atmosphere manned underwater structure常压载人水下结构
one-atmosphere vehicle常压潜水器
one-man atmosphere submersible单人常压潜水器
opaque atmosphere不透明大气
outer atmosphere上层大气
outer atmosphere外层大气
outer atmosphere高空大气 (层)
overlying atmosphere上覆大气
oxidizing ability of the atmosphere大气的氧化能力
oxidizing capacity of the atmosphere大气的氧化能力
oxygen concentration in atmosphere大气中氧浓度
oxygen deficit in subterranean atmosphere地下空气缺氧
part reducing atmosphere部分还原性介质
plane-parallel atmosphere平面平行大气压
poison atmosphere含毒空气
polytropical atmosphere多元大气
prepared atmosphere制备气氛
pressure above the atmosphere正压 (力)
pressure below atmosphere负压
protective atmosphere保护气层
protective atmosphere equipment保护气氛供应设备
protective furnace atmosphere炉腔保护空气层
pseudo-adiabatic atmosphere假绝热大气
purely scattering atmosphere纯散射大气
radio atmosphere无线电大气
rarefied atmosphere稀薄大气
Rayleigh's atmosphere瑞利大气
reaeration by atmosphere大气复氧
reducing atmosphere还原空气
remote-sensing of atmosphere大气遥感
resistance to atmosphere抗大气性
rough atmosphere扰动大气
safe atmosphere安全空气
salt atmosphere盐雾
salt atmosphere充盐大气
salt laden atmosphere含盐大气
scattering atmosphere散射大气
sensible atmosphere可感大气
sensible atmosphere阻尼大气
severe atmosphere恶劣环境
severe atmosphere侵蚀性气氛
shielding atmosphere保护气体
shielding gas atmosphere保护气氛
simulated atmosphere模拟气氛
smoke-laden atmosphere含烟空气
solar atmosphere太阳大气
solute atmosphere溶质气团
sounding of atmosphere大气探测
special atmosphere furnace保护气氛退火炉
special atmosphere oven保护气氛炉
stability of atmosphere大气稳定度
standard atmosphere标准气压
standard atmosphere常压
standard atmosphere pressure标准大气压 (力)
standard international atmosphere国际标准气压
standard laboratory atmosphere标准试验室气压
standard radio atmosphere标准无线电大气层
static stability of atmosphere大气静力稳定度
statically stable atmosphere静力稳定大气
stationary atmosphere稳定大气
stellar atmosphere天体大气
stratification of atmosphere大气分层
stratified atmosphere分层大气
stratified atmosphere成层大气
sun atmosphere太阳大气
table of normal atmosphere标准大气表
table of standard atmosphere标准大气表
technical atmosphere工业大气压力
terrestrial atmosphere地球大气
test of standard atmosphere pressure标准大气压测定
top-of-the-atmosphere fluxes大气顶部通量
transport and storage in controlled atmosphere气调储运
tunnel atmosphere隧道空气
turbidity of atmosphere大气的浑浊度
turbulent atmosphere紊流大气
upper atmosphere上层大气
upper atmosphere高空大气 (层)
upper atmosphere data高层大气资料
uppermost levels of the atmosphere大气的最高层
urban atmosphere pollution城市大气污染
varying density atmosphere变密度大气
vent to the atmosphere放空
vertical structure of atmosphere大气的铅直
weight of the atmosphere大气重量
well atmosphere pollution水井污染
winter atmosphere冬季大气
workroom atmosphere车间气氛
world's atmosphere世界大气
zine sulfide atmosphere tracer硫化锌大气示踪物